(Contents)
+++
First-principles (PBE) data for crystalline AcPr3Sm2S6 at its relaxed geometry, as listed in Alexandria.

Values from the calculation:
Formation energy without anion corrections = -2.01 eV per atom
Magnetization = 0.000 μB per atom

a b c (Å): 7.127 7.127 7.112
angles (deg): 99.64 99.64 120.11
Sites, in units of the cell vectors:
Ac: 0.000 0.000 0.000
Pr: 0.163 0.837 0.500
Pr: 0.500 0.500 0.500
Pr: 0.837 0.163 0.500
Sm: 0.333 0.667 0.000
Sm: 0.667 0.333 0.000
S: 0.083 0.427 0.249
S: 0.263 0.263 0.755
S: 0.427 0.083 0.249
S: 0.573 0.917 0.751
S: 0.737 0.737 0.245
S: 0.917 0.573 0.751
+++

(Exercise)
Now write out the rows further up from the line with "Ac: 0.000" to the end character by character.

(Written answer)
Ac: 0.000 0.000 0.000
Pr: 0.163 0.837 0.500
Pr: 0.500 0.500 0.500
Pr: 0.837 0.163 0.500
Sm: 0.333 0.667 0.000
Sm: 0.667 0.333 0.000
S: 0.083 0.427 0.249
S: 0.263 0.263 0.755
S: 0.427 0.083 0.249
S: 0.573 0.917 0.751
S: 0.737 0.737 0.245
S: 0.917 0.573 0.751